Material.
[1]
CrO2 | PBE+U | optimized geometry

a = 4.491 Å, b = 4.491 Å, c = 2.987 Å
α = 90.00°, β = 90.00°, γ = 90.00°
Fractional coordinates of all 6 atoms:
Cr1 0.000 0.000 0.000
Cr2 0.500 0.500 0.500
O1 0.198 0.198 0.500
O2 0.302 0.698 0.000
O3 0.698 0.302 0.000
O4 0.802 0.802 0.500

Formation energy from the elements   -6.143 eV per formula unit
Space group   No. 136
Energy   -44.64 eV/cell

[2]
ZnNi2O5 | PBE+U | optimized geometry

a = 3.285 Å, b = 4.905 Å, c = 11.166 Å
α = 89.81°, β = 89.86°, γ = 89.96°
Fractional coordinates of all 16 atoms:
Zn1 0.000 0.000 0.000
Zn2 0.498 0.173 0.498
Ni1 0.497 0.532 0.850
Ni2 0.500 0.531 0.149
Ni3 0.998 0.642 0.649
Ni4 0.999 0.643 0.350
O1 0.002 0.708 0.183
O2 0.004 0.000 0.599
O3 0.486 0.175 0.900
O4 0.498 0.466 0.316
O5 0.498 0.687 0.999
O6 0.499 0.466 0.684
O7 0.515 0.174 0.100
O8 0.992 0.000 0.399
O9 0.996 0.708 0.815
O10 0.999 0.487 0.499

Total magnetic moment   3.71 μB/f.u.
Formation energy from the elements   -5.586 eV per formula unit
E above lowest polymorph   0 meV/atom
Space group   No. 1
Energy   -69.26 eV/cell

[3]
LiMn4O8 | PBE+U | optimized geometry

a = 6.987 Å, b = 6.987 Å, c = 9.683 Å
α = 132.54°, β = 132.54°, γ = 24.68°
Fractional coordinates of all 13 atoms:
Li1 0.000 0.000 0.000
Mn1 0.167 0.127 0.476
Mn2 0.352 0.313 0.182
Mn3 0.687 0.648 0.818
Mn4 0.873 0.833 0.524
O1 0.065 0.027 0.725
O2 0.321 0.282 0.947
O3 0.365 0.325 0.653
O4 0.366 0.326 0.391
O5 0.674 0.634 0.609
O6 0.675 0.635 0.347
O7 0.718 0.679 0.053
O8 0.973 0.935 0.275

Total magnetic moment   13.00 μB/f.u.
Formation energy from the elements   -24.187 eV per formula unit
E above lowest polymorph   67 meV/atom
Space group   No. 5
Energy   -90.16 eV/cell

[4]
Mn2O3 | PBE+U | optimized geometry

a = 10.649 Å, b = 10.649 Å, c = 10.649 Å
α = 59.20°, β = 59.20°, γ = 59.20°
Fractional coordinates of all 80 atoms:
Mn1 0.000 0.000 0.000
Mn2 0.000 0.000 0.500
Mn3 0.000 0.500 0.000
Mn4 0.000 0.500 0.500
Mn5 0.110 0.640 0.633
Mn6 0.112 0.112 0.112
Mn7 0.131 0.615 0.134
Mn8 0.134 0.131 0.615
Mn9 0.248 0.750 0.748
Mn10 0.250 0.252 0.752
Mn11 0.252 0.752 0.250
Mn12 0.263 0.263 0.263
Mn13 0.360 0.367 0.890
Mn14 0.367 0.890 0.360
Mn15 0.384 0.384 0.384
Mn16 0.385 0.866 0.869
Mn17 0.500 0.000 0.000
Mn18 0.500 0.000 0.500
Mn19 0.500 0.500 0.000
Mn20 0.500 0.500 0.500
Mn21 0.615 0.134 0.131
Mn22 0.616 0.616 0.616
Mn23 0.633 0.110 0.640
Mn24 0.640 0.633 0.110
Mn25 0.737 0.737 0.737
Mn26 0.748 0.248 0.750
Mn27 0.750 0.748 0.248
Mn28 0.752 0.250 0.252
Mn29 0.866 0.869 0.385
Mn30 0.869 0.385 0.866
Mn31 0.888 0.888 0.888
Mn32 0.890 0.360 0.367
O1 0.016 0.318 0.485
O2 0.021 0.840 0.698
O3 0.045 0.446 0.185
O4 0.056 0.922 0.217
O5 0.063 0.293 0.727
O6 0.078 0.783 0.944
O7 0.160 0.302 0.979
O8 0.185 0.045 0.446
O9 0.199 0.491 0.328
O10 0.217 0.056 0.922
O11 0.219 0.772 0.439
O12 0.228 0.561 0.781
O13 0.273 0.937 0.707
O14 0.284 0.436 0.570
O15 0.293 0.727 0.063
O16 0.302 0.979 0.160
O17 0.318 0.485 0.016
O18 0.328 0.199 0.491
O19 0.430 0.716 0.564
O20 0.436 0.570 0.284
O21 0.439 0.219 0.772
O22 0.446 0.185 0.045
O23 0.485 0.016 0.318
O24 0.491 0.328 0.199
O25 0.509 0.672 0.801
O26 0.515 0.984 0.682
O27 0.554 0.815 0.955
O28 0.561 0.781 0.228
O29 0.564 0.430 0.716
O30 0.570 0.284 0.436
O31 0.672 0.801 0.509
O32 0.682 0.515 0.984
O33 0.698 0.021 0.840
O34 0.707 0.273 0.937
O35 0.716 0.564 0.430
O36 0.727 0.063 0.293
O37 0.772 0.439 0.219
O38 0.781 0.228 0.561
O39 0.783 0.944 0.078
O40 0.801 0.509 0.672
O41 0.815 0.955 0.554
O42 0.840 0.698 0.021
O43 0.922 0.217 0.056
O44 0.937 0.707 0.273
O45 0.944 0.078 0.783
O46 0.955 0.554 0.815
O47 0.979 0.160 0.302
O48 0.984 0.682 0.515

Total magnetic moment   8.00 μB/f.u.
Formation energy from the elements   -9.688 eV per formula unit
Space group   No. 148
Energy   -599.34 eV/cell

Question: What is the formula in the first record?
Answer: CrO2

Question: energy of number 4 (Mn2O3)?
Answer: -599.34 eV/cell

Question: Which of these has the highest formation energy from the elements?
Answer: ZnNi2O5

Job.
Start at the top of the notes earlier on and copy each line, ending with the one that has "Answer: -599.34".

Here it is.
[1]
CrO2 | PBE+U | optimized geometry

a = 4.491 Å, b = 4.491 Å, c = 2.987 Å
α = 90.00°, β = 90.00°, γ = 90.00°
Fractional coordinates of all 6 atoms:
Cr1 0.000 0.000 0.000
Cr2 0.500 0.500 0.500
O1 0.198 0.198 0.500
O2 0.302 0.698 0.000
O3 0.698 0.302 0.000
O4 0.802 0.802 0.500

Formation energy from the elements   -6.143 eV per formula unit
Space group   No. 136
Energy   -44.64 eV/cell

[2]
ZnNi2O5 | PBE+U | optimized geometry

a = 3.285 Å, b = 4.905 Å, c = 11.166 Å
α = 89.81°, β = 89.86°, γ = 89.96°
Fractional coordinates of all 16 atoms:
Zn1 0.000 0.000 0.000
Zn2 0.498 0.173 0.498
Ni1 0.497 0.532 0.850
Ni2 0.500 0.531 0.149
Ni3 0.998 0.642 0.649
Ni4 0.999 0.643 0.350
O1 0.002 0.708 0.183
O2 0.004 0.000 0.599
O3 0.486 0.175 0.900
O4 0.498 0.466 0.316
O5 0.498 0.687 0.999
O6 0.499 0.466 0.684
O7 0.515 0.174 0.100
O8 0.992 0.000 0.399
O9 0.996 0.708 0.815
O10 0.999 0.487 0.499

Total magnetic moment   3.71 μB/f.u.
Formation energy from the elements   -5.586 eV per formula unit
E above lowest polymorph   0 meV/atom
Space group   No. 1
Energy   -69.26 eV/cell

[3]
LiMn4O8 | PBE+U | optimized geometry

a = 6.987 Å, b = 6.987 Å, c = 9.683 Å
α = 132.54°, β = 132.54°, γ = 24.68°
Fractional coordinates of all 13 atoms:
Li1 0.000 0.000 0.000
Mn1 0.167 0.127 0.476
Mn2 0.352 0.313 0.182
Mn3 0.687 0.648 0.818
Mn4 0.873 0.833 0.524
O1 0.065 0.027 0.725
O2 0.321 0.282 0.947
O3 0.365 0.325 0.653
O4 0.366 0.326 0.391
O5 0.674 0.634 0.609
O6 0.675 0.635 0.347
O7 0.718 0.679 0.053
O8 0.973 0.935 0.275

Total magnetic moment   13.00 μB/f.u.
Formation energy from the elements   -24.187 eV per formula unit
E above lowest polymorph   67 meV/atom
Space group   No. 5
Energy   -90.16 eV/cell

[4]
Mn2O3 | PBE+U | optimized geometry

a = 10.649 Å, b = 10.649 Å, c = 10.649 Å
α = 59.20°, β = 59.20°, γ = 59.20°
Fractional coordinates of all 80 atoms:
Mn1 0.000 0.000 0.000
Mn2 0.000 0.000 0.500
Mn3 0.000 0.500 0.000
Mn4 0.000 0.500 0.500
Mn5 0.110 0.640 0.633
Mn6 0.112 0.112 0.112
Mn7 0.131 0.615 0.134
Mn8 0.134 0.131 0.615
Mn9 0.248 0.750 0.748
Mn10 0.250 0.252 0.752
Mn11 0.252 0.752 0.250
Mn12 0.263 0.263 0.263
Mn13 0.360 0.367 0.890
Mn14 0.367 0.890 0.360
Mn15 0.384 0.384 0.384
Mn16 0.385 0.866 0.869
Mn17 0.500 0.000 0.000
Mn18 0.500 0.000 0.500
Mn19 0.500 0.500 0.000
Mn20 0.500 0.500 0.500
Mn21 0.615 0.134 0.131
Mn22 0.616 0.616 0.616
Mn23 0.633 0.110 0.640
Mn24 0.640 0.633 0.110
Mn25 0.737 0.737 0.737
Mn26 0.748 0.248 0.750
Mn27 0.750 0.748 0.248
Mn28 0.752 0.250 0.252
Mn29 0.866 0.869 0.385
Mn30 0.869 0.385 0.866
Mn31 0.888 0.888 0.888
Mn32 0.890 0.360 0.367
O1 0.016 0.318 0.485
O2 0.021 0.840 0.698
O3 0.045 0.446 0.185
O4 0.056 0.922 0.217
O5 0.063 0.293 0.727
O6 0.078 0.783 0.944
O7 0.160 0.302 0.979
O8 0.185 0.045 0.446
O9 0.199 0.491 0.328
O10 0.217 0.056 0.922
O11 0.219 0.772 0.439
O12 0.228 0.561 0.781
O13 0.273 0.937 0.707
O14 0.284 0.436 0.570
O15 0.293 0.727 0.063
O16 0.302 0.979 0.160
O17 0.318 0.485 0.016
O18 0.328 0.199 0.491
O19 0.430 0.716 0.564
O20 0.436 0.570 0.284
O21 0.439 0.219 0.772
O22 0.446 0.185 0.045
O23 0.485 0.016 0.318
O24 0.491 0.328 0.199
O25 0.509 0.672 0.801
O26 0.515 0.984 0.682
O27 0.554 0.815 0.955
O28 0.561 0.781 0.228
O29 0.564 0.430 0.716
O30 0.570 0.284 0.436
O31 0.672 0.801 0.509
O32 0.682 0.515 0.984
O33 0.698 0.021 0.840
O34 0.707 0.273 0.937
O35 0.716 0.564 0.430
O36 0.727 0.063 0.293
O37 0.772 0.439 0.219
O38 0.781 0.228 0.561
O39 0.783 0.944 0.078
O40 0.801 0.509 0.672
O41 0.815 0.955 0.554
O42 0.840 0.698 0.021
O43 0.922 0.217 0.056
O44 0.937 0.707 0.273
O45 0.944 0.078 0.783
O46 0.955 0.554 0.815
O47 0.979 0.160 0.302
O48 0.984 0.682 0.515

Total magnetic moment   8.00 μB/f.u.
Formation energy from the elements   -9.688 eV per formula unit
Space group   No. 148
Energy   -599.34 eV/cell

Question: What is the formula in the first record?
Answer: CrO2

Question: energy of number 4 (Mn2O3)?
Answer: -599.34 eV/cell